_Work order_
The reader should return the notes further down from the first line to the one with "0.3412 0.6588" exactly.

_Given_
-- begin --
For AgRu8, a GGA-PBE-relaxed structure gives the calculated X-ray diffraction stick pattern in this record (Cu Ka).
Peak positions follow from Bragg's law for the DFT cell and can differ from measured ones.

Cell and atoms:
```
AgRu8
1.0
-4.0998 4.0998 1.9178
4.0998 -4.0998 1.9178
4.0998 4.0998 -1.9178
Ag Ru
1 8
Direct
0.0000 0.0000 0.0000 Ag
0.0000 0.3412 0.3412 Ru
0.0000 0.6588 0.6588 Ru
0.3256 0.3256 0.6512 Ru
0.3256 0.6744 0.0000 Ru
0.3412 0.0000 0.3412 Ru
0.6588 0.0000 0.6588 Ru
0.6744 0.3256 0.0000 Ru
0.6744 0.6744 0.3488 Ru
```

Largest 10 diffraction maxima, by angle, 2θ from 15° to 90°:
2theta	I/Imax
30.84	1
40.53	100
47.02	32
47.41	16
66.01	1
68.68	10
68.99	20
82.90	23
83.47	12
87.69	10


For Sn4Pb3Au3, a GGA-PBE-relaxed structure gives the calculated X-ray diffraction stick pattern in this record (Cu Ka).
Peak positions follow from Bragg's law for the DFT cell and can differ from measured ones.

Cell and atoms:
```
Sn4Pb3Au3
1.0
-5.1069 5.1069 5.1069
5.1069 -5.1069 5.1069
5.1069 5.1069 -5.1069
Sn Pb Au
8 6 6
Direct
0.0000 0.1727 0.5000 Sn
0.0000 0.6727 0.5000 Sn
0.1727 0.5000 0.0000 Sn
0.3273 0.3273 0.3273 Sn
0.5000 0.0000 0.1727 Sn
0.5000 0.0000 0.6727 Sn
0.6727 0.5000 0.0000 Sn
0.8273 0.8273 0.8273 Sn
0.1250 0.8750 0.2500 Pb
0.2500 0.1250 0.8750 Pb
0.3750 0.6250 0.7500 Pb
0.6250 0.7500 0.3750 Pb
0.7500 0.3750 0.6250 Pb
0.8750 0.2500 0.1250 Pb
0.1250 0.7500 0.8750 Au
0.2500 0.6250 0.3750 Au
0.3750 0.2500 0.6250 Au
0.6250 0.3750 0.2500 Au
0.7500 0.8750 0.1250 Au
0.8750 0.1250 0.7500 Au
```

Largest 10 diffraction maxima, by angle, 2θ from 15° to 90°:
2theta	I/Imax
21.31	21
24.65	12
32.81	100
39.46	55
43.40	14
48.84	17
63.06	13
65.95	12
67.37	14
87.54	12


For Rb2TcO6, a GGA-PBE-relaxed structure gives the calculated X-ray diffraction stick pattern in this record (Cu Ka).
Peak positions follow from Bragg's law for the DFT cell and can differ from measured ones.

Cell and atoms:
```
Rb2TcO6
1.0
5.8247 0.0000 0.0000
0.0000 5.8247 0.0000
0.0000 0.0000 11.8451
Rb Tc O
4 2 12
Direct
0.0000 0.0000 0.1630 Rb
0.0000 0.0000 0.8370 Rb
0.5000 0.5000 0.3370 Rb
0.5000 0.5000 0.6630 Rb
0.0000 0.0000 0.5000 Tc
0.5000 0.5000 0.0000 Tc
0.1591 0.1591 0.3873 O
0.1591 0.1591 0.6127 O
0.2278 0.7722 0.5000 O
0.2722 0.2722 0.0000 O
0.3409 0.6591 0.1127 O
0.3409 0.6591 0.8873 O
0.6591 0.3409 0.1127 O
0.6591 0.3409 0.8873 O
0.7278 0.7278 0.0000 O
0.7722 0.2278 0.5000 O
0.8409 0.8409 0.3873 O
0.8409 0.8409 0.6127 O
```

Largest 10 diffraction maxima, by angle, 2θ from 15° to 90°:
2theta	I/Imax
21.58	100
27.29	85
30.70	21
41.53	61
43.97	17
49.49	14
51.32	15
52.52	17
62.08	18
69.84	13


For LiCu8Ni4, a GGA-PBE-relaxed structure gives the calculated X-ray diffraction stick pattern in this record (Cu Ka).
Peak positions follow from Bragg's law for the DFT cell and can differ from measured ones.

Cell and atoms:
```
LiCu8Ni4
1.0
2.4303 1.4031 7.8537
-2.4303 1.4031 7.8537
0.0000 -2.8063 7.8537
Li Cu Ni
1 8 4
Direct
0.0000 0.0000 0.0000 Li
0.1840 0.1840 0.1840 Cu
0.2417 0.7482 0.7482 Cu
0.2518 0.2518 0.7583 Cu
0.2518 0.7583 0.2518 Cu
0.7482 0.2417 0.7482 Cu
0.7482 0.7482 0.2417 Cu
0.7583 0.2518 0.2518 Cu
0.8160 0.8160 0.8160 Cu
0.0000 0.5000 0.5000 Ni
0.5000 0.0000 0.5000 Ni
0.5000 0.5000 0.0000 Ni
0.5000 0.5000 0.5000 Ni
```

Largest 10 diffraction maxima, by angle, 2θ from 15° to 90°:
2theta	I/Imax
26.02	23
37.26	29
38.79	45
43.81	33
45.78	100
46.24	36
47.30	19
53.51	39
78.75	27
79.42	24


For LaMgI5, a GGA-PBE-relaxed structure gives the calculated X-ray diffraction stick pattern in this record (Cu Ka).
Peak positions follow from Bragg's law for the DFT cell and can differ from measured ones.

Cell and atoms:
```
LaMgI5
1.0
2.1788 -8.0014 0.0000
2.1788 8.0014 0.0000
0.0000 0.0000 17.4629
La Mg I
2 2 10
Direct
0.0155 0.9845 0.7500 La
0.9845 0.0155 0.2500 La
0.5000 0.5000 0.0000 Mg
0.5000 0.5000 0.5000 Mg
0.1022 0.8978 0.5659 I
0.1022 0.8978 0.9341 I
0.3412 0.6588 0.2500 I
0.4063 0.5937 0.6443 I
0.4063 0.5937 0.8557 I
0.5937 0.4063 0.1443 I
-- stop --

_Done_
For AgRu8, a GGA-PBE-relaxed structure gives the calculated X-ray diffraction stick pattern in this record (Cu Ka).
Peak positions follow from Bragg's law for the DFT cell and can differ from measured ones.

Cell and atoms:
```
AgRu8
1.0
-4.0998 4.0998 1.9178
4.0998 -4.0998 1.9178
4.0998 4.0998 -1.9178
Ag Ru
1 8
Direct
0.0000 0.0000 0.0000 Ag
0.0000 0.3412 0.3412 Ru
0.0000 0.6588 0.6588 Ru
0.3256 0.3256 0.6512 Ru
0.3256 0.6744 0.0000 Ru
0.3412 0.0000 0.3412 Ru
0.6588 0.0000 0.6588 Ru
0.6744 0.3256 0.0000 Ru
0.6744 0.6744 0.3488 Ru
```

Largest 10 diffraction maxima, by angle, 2θ from 15° to 90°:
2theta	I/Imax
30.84	1
40.53	100
47.02	32
47.41	16
66.01	1
68.68	10
68.99	20
82.90	23
83.47	12
87.69	10


For Sn4Pb3Au3, a GGA-PBE-relaxed structure gives the calculated X-ray diffraction stick pattern in this record (Cu Ka).
Peak positions follow from Bragg's law for the DFT cell and can differ from measured ones.

Cell and atoms:
```
Sn4Pb3Au3
1.0
-5.1069 5.1069 5.1069
5.1069 -5.1069 5.1069
5.1069 5.1069 -5.1069
Sn Pb Au
8 6 6
Direct
0.0000 0.1727 0.5000 Sn
0.0000 0.6727 0.5000 Sn
0.1727 0.5000 0.0000 Sn
0.3273 0.3273 0.3273 Sn
0.5000 0.0000 0.1727 Sn
0.5000 0.0000 0.6727 Sn
0.6727 0.5000 0.0000 Sn
0.8273 0.8273 0.8273 Sn
0.1250 0.8750 0.2500 Pb
0.2500 0.1250 0.8750 Pb
0.3750 0.6250 0.7500 Pb
0.6250 0.7500 0.3750 Pb
0.7500 0.3750 0.6250 Pb
0.8750 0.2500 0.1250 Pb
0.1250 0.7500 0.8750 Au
0.2500 0.6250 0.3750 Au
0.3750 0.2500 0.6250 Au
0.6250 0.3750 0.2500 Au
0.7500 0.8750 0.1250 Au
0.8750 0.1250 0.7500 Au
```

Largest 10 diffraction maxima, by angle, 2θ from 15° to 90°:
2theta	I/Imax
21.31	21
24.65	12
32.81	100
39.46	55
43.40	14
48.84	17
63.06	13
65.95	12
67.37	14
87.54	12


For Rb2TcO6, a GGA-PBE-relaxed structure gives the calculated X-ray diffraction stick pattern in this record (Cu Ka).
Peak positions follow from Bragg's law for the DFT cell and can differ from measured ones.

Cell and atoms:
```
Rb2TcO6
1.0
5.8247 0.0000 0.0000
0.0000 5.8247 0.0000
0.0000 0.0000 11.8451
Rb Tc O
4 2 12
Direct
0.0000 0.0000 0.1630 Rb
0.0000 0.0000 0.8370 Rb
0.5000 0.5000 0.3370 Rb
0.5000 0.5000 0.6630 Rb
0.0000 0.0000 0.5000 Tc
0.5000 0.5000 0.0000 Tc
0.1591 0.1591 0.3873 O
0.1591 0.1591 0.6127 O
0.2278 0.7722 0.5000 O
0.2722 0.2722 0.0000 O
0.3409 0.6591 0.1127 O
0.3409 0.6591 0.8873 O
0.6591 0.3409 0.1127 O
0.6591 0.3409 0.8873 O
0.7278 0.7278 0.0000 O
0.7722 0.2278 0.5000 O
0.8409 0.8409 0.3873 O
0.8409 0.8409 0.6127 O
```

Largest 10 diffraction maxima, by angle, 2θ from 15° to 90°:
2theta	I/Imax
21.58	100
27.29	85
30.70	21
41.53	61
43.97	17
49.49	14
51.32	15
52.52	17
62.08	18
69.84	13


For LiCu8Ni4, a GGA-PBE-relaxed structure gives the calculated X-ray diffraction stick pattern in this record (Cu Ka).
Peak positions follow from Bragg's law for the DFT cell and can differ from measured ones.

Cell and atoms:
```
LiCu8Ni4
1.0
2.4303 1.4031 7.8537
-2.4303 1.4031 7.8537
0.0000 -2.8063 7.8537
Li Cu Ni
1 8 4
Direct
0.0000 0.0000 0.0000 Li
0.1840 0.1840 0.1840 Cu
0.2417 0.7482 0.7482 Cu
0.2518 0.2518 0.7583 Cu
0.2518 0.7583 0.2518 Cu
0.7482 0.2417 0.7482 Cu
0.7482 0.7482 0.2417 Cu
0.7583 0.2518 0.2518 Cu
0.8160 0.8160 0.8160 Cu
0.0000 0.5000 0.5000 Ni
0.5000 0.0000 0.5000 Ni
0.5000 0.5000 0.0000 Ni
0.5000 0.5000 0.5000 Ni
```

Largest 10 diffraction maxima, by angle, 2θ from 15° to 90°:
2theta	I/Imax
26.02	23
37.26	29
38.79	45
43.81	33
45.78	100
46.24	36
47.30	19
53.51	39
78.75	27
79.42	24


For LaMgI5, a GGA-PBE-relaxed structure gives the calculated X-ray diffraction stick pattern in this record (Cu Ka).
Peak positions follow from Bragg's law for the DFT cell and can differ from measured ones.

Cell and atoms:
```
LaMgI5
1.0
2.1788 -8.0014 0.0000
2.1788 8.0014 0.0000
0.0000 0.0000 17.4629
La Mg I
2 2 10
Direct
0.0155 0.9845 0.7500 La
0.9845 0.0155 0.2500 La
0.5000 0.5000 0.0000 Mg
0.5000 0.5000 0.5000 Mg
0.1022 0.8978 0.5659 I
0.1022 0.8978 0.9341 I
0.3412 0.6588 0.2500 I